A Way Out of the Shutdown

By: The Editorial Board ~ The Wall Street Journal ~ December 31, 2018

With the partial government shutdown now into its second week, Donald Trump appears to have no good exit strategy. That’s not surprising since he had no entry strategy. Sounds like it’s time for the President to follow the escape route offered by Senator Lindsey Graham and former House Speaker Newt Gingrich, among others, and offer a larger immigration bargain.

As it stands Mr. Trump is in a box canyon of his own design. He can capitulate to the Democratic offer of $1.3 billion for border security and be accused of surrender by his supporters. Or he can continue the budget stalemate and endure escalating political damage as the press blames all and sundry ills on the shutdown of 25% of the government.

Some Republicans, mainly in the House Freedom Caucus, think Mr. Trump can win an extended game of chicken with Democrats. They think most of the public won’t suffer from a partial shutdown. And it’s true that Speaker-in-waiting Nancy Pelosi, who takes over the House on Thursday, would rather not have the budget fight interfere with her first weeks back in power. She’d prefer to get on with pushing the Democratic agenda, and the public usually blames both sides in a shutdown.

## Here the text breaks off for calculated crystals
┌──
(1)
DFT (meta-GGA r2SCAN) results for crystalline OsSe2Br12 at its relaxed geometry.

SG ... C2/m
Formation enthalpy at 0 K ... -0.1954 eV per atom
ρ ... 4.3 g/cm3

abc: 9.0950 9.0928 6.6788
angles: 72.92 72.92 77.60
Last column: nearest neighbours and their distance in Å.
Atoms (fractional coordinates):
Br1 0.7431 0.0492 0.2533  1 Os 2.49
Br2 0.3498 0.3498 0.3475  1 Se 2.38
Br3 0.0492 0.7430 0.2533  1 Os 2.49
Br4 0.2128 0.5294 0.7992  1 Se 2.37
Br5 0.5294 0.2128 0.7992  1 Se 2.37
Br6 0.1254 0.1254 0.1785  1 Os 2.49
Br7 0.4706 0.7872 0.2008  1 Se 2.37
Br8 0.6502 0.6502 0.6525  1 Se 2.38
Br9 0.9508 0.2570 0.7467  1 Os 2.49
Br10 0.7872 0.4706 0.2008  1 Se 2.37
Br11 0.8746 0.8746 0.8215  1 Os 2.49
Br12 0.2569 0.9508 0.7467  1 Os 2.49
Se1 0.2787 0.2787 0.7320  3 Br 2.37-2.38
Se2 0.7213 0.7213 0.2680  3 Br 2.37-2.38
Os1 0.0000 0.0000 0.0000  6 Br 2.49



(2)
DFT (meta-GGA r2SCAN) results for crystalline Zr6CI12 at its relaxed geometry.

SG ... R-3
Formation enthalpy at 0 K ... -1.1156 eV per atom
ρ ... 5.3 g/cm3

abc: 9.2208 9.2225 9.2212
angles: 106.94 106.94 106.94
Last column: nearest neighbours and their distance in Å.
Atoms (fractional coordinates):
I1 0.6923 0.2258 0.0782  2 Zr 2.93-2.96
I2 0.2258 0.0783 0.6923  2 Zr 2.93-2.96
I3 0.6324 0.5589 0.8578  2 Zr 2.89-2.90
I4 0.0783 0.6923 0.2258  2 Zr 2.93-2.96
I5 0.8578 0.6323 0.5587  2 Zr 2.89-2.90
I6 0.5587 0.8579 0.6323  2 Zr 2.89-2.90
I7 0.4413 0.1423 0.3676  2 Zr 2.89-2.90
I8 0.9217 0.3076 0.7742  2 Zr 2.93-2.96
I9 0.3677 0.4412 0.1424  2 Zr 2.89-2.90
I10 0.7741 0.9218 0.3077  2 Zr 2.93-2.96
I11 0.1424 0.3676 0.4413  2 Zr 2.89-2.90
I12 0.3077 0.7741 0.9217  2 Zr 2.93-2.96
Zr1 0.0256 0.2660 0.0863  1 C 2.26
Zr2 0.0862 0.0255 0.2660  1 C 2.26
Zr3 0.2660 0.0862 0.0255  1 C 2.26
Zr4 0.7339 0.9138 0.9744  1 C 2.26
Zr5 0.9138 0.9744 0.7340  1 C 2.26
Zr6 0.9744 0.7340 0.9138  1 C 2.26
C1 0.0000 0.0000 0.0000  6 Zr 2.26



(3)
DFT (meta-GGA r2SCAN) results for crystalline LaMg2Ni at its relaxed geometry.

SG ... Cmcm
Formation enthalpy at 0 K ... -0.2064 eV per atom
ρ ... 4.6 g/cm3

abc: 4.2200 5.4945 8.2961
angles: 90.00 90.00 112.58
Last column: nearest neighbours and their distance in Å.
Atoms (fractional coordinates):
Ni1 0.7221 0.4442 0.7500  6 Mg 2.74-2.82, 3 La 2.85-3.06
Ni2 0.2779 0.5558 0.2500  6 Mg 2.74-2.82, 3 La 2.85-3.06
La1 0.4411 0.8822 0.7500  3 Ni 2.85-3.06
La2 0.5589 0.1178 0.2500  3 Ni 2.85-3.06
Mg1 0.1555 0.3111 0.9448  3 Ni 2.74-2.82, 2 Mg 2.99
Mg2 0.8445 0.6889 0.0552  3 Ni 2.74-2.82, 2 Mg 2.99
Mg3 0.8445 0.6889 0.4448  3 Ni 2.74-2.82, 2 Mg 2.99
Mg4 0.1555 0.3111 0.5552  3 Ni 2.74-2.82, 2 Mg 2.99



(4)
DFT (meta-GGA r2SCAN) results for crystalline Ca2Cu at its relaxed geometry.

SG ... Pnma
Formation enthalpy at 0 K ... -0.0810 eV per atom
ρ ... 2.6 g/cm3

abc: 4.1239 6.0648 14.6552
angles: 90.00 90.00 90.00
Last column: nearest neighbours and their distance in Å.
Atoms (fractional coordinates):
Ca1 0.2500 0.1334 0.4086  3 Cu 3.04-3.06
Ca2 0.7500 0.3666 0.9086  3 Cu 3.04-3.06
└──
## Here the text continues

But Mrs. Pelosi and Senate Minority Leader Chuck Schumer are also under enormous political pressure not to give Mr. Trump a dime for something he could call his border “wall.” Even Terry McAuliffe, the former Virginia Governor and Clintonista who may run for President in 2020, hit the Sunday TV circuit to say “Democrats should not give an inch” on the budget. Mr. Schumer has already rejected a White House offer between $1.3 billion and Mr. Trump’s public demand for $5 billion.

Enter Mr. Graham, who said Sunday that he’d like Mr. Trump and the Democrats to negotiate a trade of border money in exchange for legalizing the so-called Dreamers. Those are the adults who were brought to the U.S. as children and are in legal limbo after Mr. Trump rescinded Barack Obama’s diktat offering them temporary legal status. The courts have stayed Mr. Trump’s rescission order, but sometime this year they will rule on the merits. Mr. Trump has a strong legal case.

Such an offer would reset the terms of the budget fight so it’s about something more than money and the wall. Mr. Trump would be offering Democrats something they claim to want, and they’d look small and cynical if they failed to consider it. Democrats would have to explain to Dreamers and their families why they prefer to deny Mr. Trump a half victory rather than improve the lives of hundreds of thousands of anxious young adults.

Mr. Trump would take some heat from the restrictionist right that would call any legalization “amnesty.” But these are the same voices denouncing him for not getting funding for the wall. They can’t have it both ways. House Democrats aren’t going to give Mr. Trump money for the wall unless they can tell their voters they won something too.

“President Trump is not going to walk away from this fight without border security funding, money for the wall, for lack of a better way of saying it,” Sen. Graham told CNN on Sunday. “And Democrats have a chance here to work with me and others, including the President, to bring legal status to people who have very uncertain lives.”

Perhaps Democrats will simply be too bloody-minded to compromise on the Dreamers, too eager to visit an early defeat on a President they loathe. But then at least Mr. Trump can explain to voters that he took the high road while Democrats refused. And if the Dreamer case breaks his way in court, and hundreds of thousands are in danger of deportation, Democrats will be responsible for their fate.

Source:The Editorial Board ~ The Wall Street Journal ~ December 31, 2018